Coffee review

The coffee brand launched by the whole family wants to rob Starbucks business.

Published: 2024-09-08 Author: World Gafei
Last Updated: 2024/09/08, Convenience store coffee is becoming a new coffee market.

Convenience store coffee is becoming a new coffee market.

It may sound hard to believe, but the whole family's poker coffee is actually aimed at Starbucks-even though Starbucks coffee costs three times as much as the whole family.

After the Spring Festival, the whole family went online on a large number of advertisements for guest coffee. Perhaps the most conspicuous is the humanoid sign outside each family store: the spokesman Chen Yihan holds a cup of guest coffee, a malachite green tweed coat and a sweet smile look lively and lovely.

Photo: Chen Yihan Weibo

They also launched a wave of offline and online publicity, in which Chen Yihan carried a coffee cup-shaped paper-cut through the streets of Shanghai, with the slogan "I met a beautiful cup on the street corner." In online activities, consumers can also take photos and submit their own photos to Chen Yihan's coffee relay event, while participants have prizes such as coffee coupons and round-trip air tickets to Taiwan.

This wave of publicity has worked well, with more than 60 million Weibo readers on the topic, and has also attracted spontaneous contributions from many netizens. In the era of developed social media, taking photos and sharing small details of life with mobile phones is something many people are happy to participate in.

Contributions from netizens

Contributions from netizens

Contributions from netizens

But although it has only recently begun to be publicized on a large scale by spokesmen and social media, Guke Coffee was quietly launched as early as June last year. "in the past six months, we have been doing internal testing, taste improvement and shop assistant training," Ben, head of public affairs at Dingxin Group, who is in charge of the whole family brand, told the interface. Wait until the basic layout is ready, take advantage of the Spring Festival to come back, the weather is still cold, officially launch the whole family guest coffee brand. "

More than half a year of internal testing time is not short. But it's not easy to make coffee. In addition to the need to consider coffee consumption around convenience stores, the standardization of taste is particularly important, especially for convenience store coffee that is cheaper and emphasizes freshly ground. You may have had the experience that even if you buy coffee at the same convenience store, the proportion of lattes you drink varies from day to day, while Starbucks, a professional coffee chain, is much better at standardization.

********
Entry 1:
This entry pairs a crystal structure of MgMoOsPb2O6 with its simulated X-ray diffraction stick pattern. Radiation: CuKα. Structure: DFT lattice parameters and positions (GGA+U).

Largest 10 diffraction maxima, by angle, 10 to 90 degrees two-theta:
| 2θ/deg | I (rel.) |
| --- | --- |
| 19.56 | 100 |
| 28.80 | 69 |
| 29.52 | 60 |
| 30.01 | 65 |
| 30.50 | 51 |
| 30.81 | 43 |
| 31.06 | 59 |
| 39.73 | 25 |
| 42.28 | 25 |
| 53.48 | 27 |

abc: 5.958 6.058 6.733
angles: 91.08 116.00 117.86
Space group P1 (No. 1)
Asymmetric unit:
1 Mg 0.000 0.000 0.000
2 Mo 0.856 0.438 0.285
3 Os 0.658 0.837 0.495
4 Pb 0.329 0.604 0.007
5 Pb 0.515 0.272 0.746
6 O 0.331 0.666 0.521
7 O 0.388 0.226 0.041
8 O 0.810 0.666 0.046
9 O 0.842 0.646 0.539
10 O 0.871 0.175 0.503
11 O 0.893 0.251 0.033

=====

Entry 2:
This entry pairs a crystal structure of MgMoOsPb2O6 with its simulated X-ray diffraction stick pattern. Radiation: CuKα. Structure: DFT lattice parameters and positions (GGA+U).

Largest 10 diffraction maxima, by angle, 10 to 90 degrees two-theta:
| 2θ/deg | I (rel.) |
| --- | --- |
| 17.04 | 53 |
| 19.94 | 21 |
| 28.83 | 55 |
| 29.55 | 49 |
| 30.40 | 100 |
| 31.62 | 85 |
| 41.65 | 30 |
| 44.88 | 17 |
| 53.68 | 17 |
| 55.52 | 18 |

abc: 5.883 6.060 6.522
angles: 90.54 115.13 117.37
Space group P1 (No. 1)
Asymmetric unit:
1 Mg 0.000 0.000 0.000
2 Mo 0.629 0.818 0.455
3 Os 0.829 0.421 0.249
4 Pb 0.294 0.584 0.951
5 Pb 0.498 0.269 0.694
6 O 0.256 0.625 0.435
7 O 0.385 0.217 0.026
8 O 0.793 0.596 0.486
9 O 0.801 0.652 0.024
10 O 0.823 0.156 0.420
11 O 0.870 0.245 0.007

=====

Entry 3:
This entry pairs a crystal structure of MgMoOsPb2O6 with its simulated X-ray diffraction stick pattern. Radiation: CuKα. Structure: DFT lattice parameters and positions (GGA+U).

Largest 10 diffraction maxima, by angle, 10 to 90 degrees two-theta:
| 2θ/deg | I (rel.) |
| --- | --- |
| 18.27 | 41 |
| 29.56 | 53 |
| 29.78 | 100 |
| 30.23 | 50 |
| 34.94 | 57 |
| 42.79 | 56 |
| 46.85 | 34 |
| 47.84 | 19 |
| 52.58 | 23 |
| 53.42 | 21 |

abc: 5.913 6.044 8.516
angles: 90.00 90.00 90.00
Space group Immm (No. 71)
Asymmetric unit:
1 Mg 0.000 0.000 0.000
2 Mo 0.000 0.500 0.000
3 Os 0.000 0.500 0.500
4 Pb 0.000 0.000 0.323
5 O 0.000 0.500 0.261
6 O 0.248 0.237 0.000

=====

Entry 4:
This entry pairs a crystal structure of MgMoP2O7 with its simulated X-ray diffraction stick pattern. Radiation: CuKα. Structure: DFT lattice parameters and positions (GGA+U).

Largest 10 diffraction maxima, by angle, 10 to 90 degrees two-theta:
| 2θ/deg | I (rel.) |
| --- | --- |
| 16.77 | 52 |
| 23.48 | 27 |
| 28.53 | 56 |
| 28.71 | 100 |
| 29.27 | 83 |
| 33.89 | 60 |
| 41.25 | 30 |
| 42.95 | 19 |
| 54.73 | 19 |
| 56.37 | 18 |

abc: 6.880 8.660 4.604
angles: 90.00 104.01 90.00
Space group C2 (No. 5)
Asymmetric unit:
1 Mg 0.000 0.000 0.000
2 Mo 0.000 0.380 0.000
3 P 0.201 0.677 0.414
4 O 0.000 0.614 0.500
5 O 0.139 0.182 0.286
6 O 0.165 0.833 0.262
7 O 0.243 0.546 0.211

=====

Entry 5:
********
### The records of crystals stop here

The goal of the whole family is Starbucks. In the interview, they stressed that the customers used "Guatemalan Arabica coffee beans of very good quality." At the same time, they hope to impress original Starbucks consumers with freshly ground coffee in convenience stores with lower prices and better quality.

It sounds difficult, but after all, not everyone cares about the difference between convenience store coffee and Starbucks, and convenience store coffee is much cheaper. So how to increase the added value of the whole family's brand is the first thing they need to consider-or let the urban white-collar workers who are carrying Starbucks into the office building are willing to replace their coffee paper cups with those of the whole family.

So "meeting every cup of beauty in life" became the focus of the whole family coffee promotion. "what we want to bring to consumers is the warm little details of life, a kind of affection," Ben said. The convenience store, which is full of temperature, emphasizes that the feelings are natural and cordial.

These calculated crystals were left in the text by mistake.
Simulated powder diffractogram
Compound: NdHoCo2
Radiation: Cu Ka
Structure: a DFT-relaxed cell (PBE, Alexandria)

Structural model:
```
NdHoCo2
1.0
3.884 0.000 0.000
0.000 5.663 0.000
0.000 0.000 7.604
Nd Ho Co
2 2 4
Direct
0.000 0.131 0.000 Nd
0.000 0.869 0.500 Nd
0.500 0.371 0.643 Ho
0.500 0.629 0.143 Ho
0.000 0.362 0.354 Co
0.000 0.638 0.854 Co
0.500 0.169 0.299 Co
0.500 0.831 0.799 Co
```

Most intense lines, 10° ≤ 2θ ≤ 90°, by angle:
2theta, I_rel
27.85, 35
30.28, 100
32.97, 94
33.78, 96
36.69, 68
38.93, 70
41.20, 77
46.78, 41
58.93, 39
62.44, 34


Simulated powder diffractogram
Compound: Ho7Pt2Rh2
Radiation: Cu Ka
Structure: a DFT-relaxed cell (PBE, Alexandria)

Structural model:
```
Ho7Pt2Rh2
1.0
-1.944 7.478 4.620
1.944 -7.478 4.620
1.944 7.478 -4.620
Ho Pt Rh
7 2 2
Direct
0.000 0.000 0.000 Ho
0.081 0.392 0.689 Ho
0.132 0.762 0.370 Ho
0.392 0.762 0.630 Ho
0.488 0.603 0.886 Ho
0.704 0.392 0.311 Ho
0.717 0.603 0.114 Ho
0.346 0.346 0.000 Pt
0.776 0.276 0.500 Pt
0.335 0.095 0.240 Rh
0.855 0.095 0.760 Rh
```

Most intense lines, 10° ≤ 2θ ≤ 90°, by angle:
2theta, I_rel
30.64, 46
31.44, 25
34.22, 37
34.67, 100
35.13, 37
37.25, 18
39.21, 33
46.73, 29
52.80, 31
64.02, 20


Simulated powder diffractogram
Compound: Y5ThBi6
Radiation: Cu Ka
Structure: a DFT-relaxed cell (PBE, Alexandria)

Structural model:
```
Y5ThBi6
1.0
3.901 -6.753 0.000
3.901 6.753 0.000
-2.604 0.000 7.357
Y Th Bi
5 1 6
Direct
0.000 0.000 0.000 Y
0.167 0.833 0.500 Y
0.335 0.665 0.000 Y
0.665 0.335 0.000 Y
0.833 0.167 0.500 Y
0.500 0.500 0.500 Th
0.078 0.415 0.246 Bi
0.246 0.246 0.751 Bi
0.415 0.078 0.246 Bi
0.585 0.922 0.754 Bi
0.754 0.754 0.249 Bi
0.922 0.585 0.754 Bi
```

Most intense lines, 10° ≤ 2θ ≤ 90°, by angle:
2theta, I_rel
24.20, 16
28.02, 100
40.04, 78
47.34, 9
49.58, 28
57.91, 13
63.69, 4
65.54, 37
72.74, 27
86.42, 9

The same is true in Taiwan, where the whole family is trying to build the concept of "buying coffee for the whole family = loving life." Earlier this year, McCann Taiwan launched an interactive promotion of "100 wonderful clues" for family coffee: red rain shoes, awkward ex-boyfriends, perfumes with Prague memories, and hated empty seats in charge. They shot 100 small details, but also invited consumers to film the beautiful details of their lives to participate in the contribution, and finally gathered to form a short advertising film.

_Next to the piece, the page also holds data records_
=====
1.
The following is a simulated XRD peak list of NaPb2Br5. It was derived from a DFT-relaxed cell (GGA-PBE, Alexandria), using CuKα.

Main lines, by intensity (2θ = 5–70°):
two_theta, d (Å), I (rel.)
33.95, 2.641, 100
12.90, 6.864, 82
33.20, 2.698, 80
24.83, 3.585, 72
21.57, 4.121, 71
30.54, 2.927, 56
29.50, 3.028, 54
28.26, 3.158, 51
40.49, 2.228, 48
39.87, 2.261, 48

abc: 9.837 7.806 14.630
angles: 90.00 99.91 90.00
Positions (direct):
Na (0.000, 0.000, 0.000)
Na (0.000, 0.500, 0.500)
Na (0.500, 0.000, 0.000)
Na (0.500, 0.500, 0.500)
Pb (0.160, 0.061, 0.390)
Pb (0.160, 0.439, 0.890)
Pb (0.326, 0.021, 0.710)
Pb (0.326, 0.479, 0.210)
Pb (0.674, 0.521, 0.790)
Pb (0.674, 0.979, 0.290)
Pb (0.840, 0.561, 0.110)
Pb (0.840, 0.939, 0.610)
Br (0.061, 0.118, 0.769)
Br (0.061, 0.382, 0.269)
Br (0.128, 0.672, 0.056)
Br (0.128, 0.828, 0.556)
Br (0.250, 0.194, 0.051)
Br (0.250, 0.306, 0.551)
Br (0.347, 0.742, 0.356)
Br (0.347, 0.758, 0.856)
Br (0.446, 0.221, 0.355)
Br (0.446, 0.279, 0.855)
Br (0.554, 0.721, 0.145)
Br (0.554, 0.779, 0.645)
Br (0.653, 0.242, 0.144)
Br (0.653, 0.258, 0.644)
Br (0.750, 0.694, 0.449)
Br (0.750, 0.806, 0.949)
Br (0.872, 0.172, 0.444)
Br (0.872, 0.328, 0.944)
Br (0.939, 0.618, 0.731)
Br (0.939, 0.882, 0.231)

=====

2.
The following is a simulated XRD peak list of Na2PbBr4. It was derived from a DFT-relaxed cell (GGA-PBE, Alexandria), using CuKα.

Main lines, by intensity (2θ = 5–70°):
two_theta, d (Å), I (rel.)
29.21, 3.057, 100
12.60, 7.027, 87
41.61, 2.170, 76
23.99, 3.709, 58
28.97, 3.082, 51
51.24, 1.783, 21
52.06, 1.757, 20
41.30, 2.186, 19
43.40, 2.085, 19
42.26, 2.138, 18

abc: 7.502 7.502 4.372
angles: 90.00 90.00 110.49
Positions (direct):
Na (0.000, 0.500, 0.000)
Na (0.500, 0.000, 0.000)
Pb (0.000, 0.000, 0.500)
Br (0.247, 0.753, 0.500)
Br (0.249, 0.249, 0.000)
Br (0.751, 0.751, 0.000)
Br (0.753, 0.247, 0.500)

=====

Question: What is the formula in the first record?
Answer: NaPb2Br5

=====

Please write out number 1 again, unchanged.
The following is a simulated XRD peak list of NaPb2Br5. It was derived from a DFT-relaxed cell (GGA-PBE, Alexandria), using CuKα.

Main lines, by intensity (2θ = 5–70°):
two_theta, d (Å), I (rel.)
33.95, 2.641, 100
12.90, 6.864, 82
33.20, 2.698, 80
24.83, 3.585, 72
21.57, 4.121, 71
30.54, 2.927, 56
29.50, 3.028, 54
28.26, 3.158, 51
40.49, 2.228, 48
39.87, 2.261, 48

abc: 9.837 7.806 14.630
angles: 90.00 99.91 90.00
Positions (direct):
Na (0.000, 0.000, 0.000)
Na (0.000, 0.500, 0.500)
Na (0.500, 0.000, 0.000)
Na (0.500, 0.500, 0.500)
Pb (0.160, 0.061, 0.390)
Pb (0.160, 0.439, 0.890)
Pb (0.326, 0.021, 0.710)
Pb (0.326, 0.479, 0.210)
Pb (0.674, 0.521, 0.790)
Pb (0.674, 0.979, 0.290)
Pb (0.840, 0.561, 0.110)
Pb (0.840, 0.939, 0.610)
Br (0.061, 0.118, 0.769)
Br (0.061, 0.382, 0.269)
Br (0.128, 0.672, 0.056)
Br (0.128, 0.828, 0.556)
Br (0.250, 0.194, 0.051)
Br (0.250, 0.306, 0.551)
Br (0.347, 0.742, 0.356)
Br (0.347, 0.758, 0.856)
Br (0.446, 0.221, 0.355)
Br (0.446, 0.279, 0.855)
=====

The whole family in Taiwan-100 beautiful clues

The whole family in Taiwan-100 beautiful clues

Nowadays, Chinese consumers have an increasing demand for freshly ground coffee. Although China's freshly ground coffee market share was only 2% in 2016, it has grown by an average of more than 20% in recent years, according to Euromonitor International. In more mature coffee consumer markets such as Japan, the United Kingdom and the United States, the market share of ground coffee is more than 25%, and 91% in the United States.

The outbreak of China's coffee market has also brought more competition in different prices: for example, in first-tier cities like Shanghai, except for Starbucks with standardized chains with an average price of about 30 yuan, boutique coffee shops that are slightly more expensive and pursue differentiation in coffee quality and store decoration, today's convenience store coffee market of less than 20 yuan can not be ignored-the convenience store itself has a large customer base. At the same time, the relative price is lower and faster, which brings a large group of potential consumers.

But the competition for coffee in convenience stores is already fierce. Convenience stores such as 7-11, Rosen and Histo all have their own coffee, and the food official account Penguin eating and drinking Guide also made a test detailing the characteristics, pros and cons of coffee in different convenience stores in Shanghai-and concluded that, for many people, the raw materials and coffee categories of each convenience store are not much different. Maybe the whole family latte is better than the 7-11 latte, but you don't give up the 7-11 downstairs for a cup of latte and go to the whole family two roads away to buy coffee.

Photo Source: Penguin eating and drinking Guide

So before thinking about how to target Starbucks, the first thing you need to do is to get rid of the homogenization of convenience store coffee. The "premium card" launched in the second half of last year is an attempt aimed at the mainland market: unlike ordinary family sharing cards, premium cards that need to pay a certain annual fee provide more benefits for people, such as more points for buying coffee, daily shopping promotion, coffee collection, and so on. Recently, they also launched an e-commerce App, which is only aimed at premium card members, mostly imported goods and relatively low prices-both coffee spots and discounts for premium card members are designed to enhance consumer stickiness and differentiate them from other convenience stores.

At least for now, none of the other convenience stores have begun to promote their coffee brands on a large scale, and the whole family is the first. For young people who rush to buy a cup of coffee at a convenience store and bring it to the office before going to work, people may have no idea of "Guatemalan Arabica coffee beans" and do not care whether the store uses flavored or Meiji milk, in addition to convenience, emotional connection and intimacy may be more important.